### To do
Next, write out the contents further below exactly.
### Given
This entry pairs a crystal structure of Na3Li4Sn2 with its theoretical powder XRD pattern. Radiation: a wavelength of 1.5418 Å. Structure: the GGA-PBE geometry in Alexandria.
Lines closer than 0.1° are merged.

Cell and atoms:
```
data_Na3Li4Sn2
_cell_length_a 4.9307
_cell_length_b 4.9307
_cell_length_c 9.4554
_cell_angle_alpha 90.00
_cell_angle_beta 90.00
_cell_angle_gamma 120.00
_space_group_name_H-M_alt 'P -3 m 1'
_space_group_IT_number 164
_space_group_name_Hall '-P 3 2"'
loop_
_atom_site_label
_atom_site_fract_x
_atom_site_fract_y
_atom_site_fract_z
Na1 0.0000 0.0000 0.0000
Na2 0.3333 0.6667 0.5799
Li1 0.0000 0.0000 0.2950
Li2 0.3333 0.6667 0.8938
Sn1 0.3333 0.6667 0.2219
```

The 6 most intense peaks (2θ = 15–90°), by angle:
d/Å	I (rel.)	h k l
4.728	27	0 0 2
4.270	26	1 0 0
3.892	100	0 1 1
3.169	43	0 1 2
2.536	64	1 0 3
2.465	53	1 1 0
### Solution
This entry pairs a crystal structure of Na3Li4Sn2 with its theoretical powder XRD pattern. Radiation: a wavelength of 1.5418 Å. Structure: the GGA-PBE geometry in Alexandria.
Lines closer than 0.1° are merged.

Cell and atoms:
```
data_Na3Li4Sn2
_cell_length_a 4.9307
_cell_length_b 4.9307
_cell_length_c 9.4554
_cell_angle_alpha 90.00
_cell_angle_beta 90.00
_cell_angle_gamma 120.00
_space_group_name_H-M_alt 'P -3 m 1'
_space_group_IT_number 164
_space_group_name_Hall '-P 3 2"'
loop_
_atom_site_label
_atom_site_fract_x
_atom_site_fract_y
_atom_site_fract_z
Na1 0.0000 0.0000 0.0000
Na2 0.3333 0.6667 0.5799
Li1 0.0000 0.0000 0.2950
Li2 0.3333 0.6667 0.8938
Sn1 0.3333 0.6667 0.2219
```

The 6 most intense peaks (2θ = 15–90°), by angle:
d/Å	I (rel.)	h k l
4.728	27	0 0 2
4.270	26	1 0 0
3.892	100	0 1 1
3.169	43	0 1 2
2.536	64	1 0 3
2.465	53	1 1 0